Conference Policies
A. ID badge policy
Please wear your IIDRN Conference ID name badges at all times while attending conference events, including during meals provided by the conference.
B. Code of conduct and safety plan
VASP calculation (meta-GGA SCAN) on a crystal of Na7Mg relaxed with PBEsol.

The calculation puts the formation energy at 52 meV per atom. As for the spin magnetization: 0.00 μB per atom. The value obtained for the density of states at the Fermi level is 4.0 states/eV/f.u.

It has space group Fm-3m (No. 225), with a = 10.2418 Å, b = 10.2418 Å, c = 10.2418 Å, α = 90.00°, β = 90.00° and γ = 90.00°. The asymmetric unit holds Na at (0.0000, 0.0000, 0.0000), Na at (0.0000, 0.2500, 0.2500) and Mg at (0.0000, 0.0000, 0.5000).


VASP calculation (meta-GGA SCAN) on a crystal of K3Cu8Se6 relaxed with PBEsol.

As for the formation energy without anion corrections: -0.531 eV/atom. As for the spin magnetization: 0.00 μB per atom. The value obtained for the density of states at the Fermi level is 5.7 states/eV/f.u.

It has space group C2/m (No. 12), with a = 17.6771 Å, b = 3.9072 Å, c = 9.9453 Å, α = 90.00°, β = 105.62° and γ = 90.00°. The asymmetric unit holds K at (0.0000, 0.0000, 0.0000), K at (0.1917, 0.0000, 0.3014), Cu at (0.0147, 0.0000, 0.6356), Cu at (0.0779, 0.5000, 0.5275), Cu at (0.1038, 0.5000, 0.7829), Cu at (0.1972, 0.0000, 0.9106), Se at (0.0404, 0.5000, 0.2822), Se at (0.1557, 0.0000, 0.6476) and Se at (0.1588, 0.5000, 0.0263).


VASP calculation (meta-GGA SCAN) on a crystal of K3SeO relaxed with PBEsol.

As for the formation energy without anion corrections: -1.104 eV/atom. As for the spin magnetization: 0.21 μB per atom. The value obtained for the density of states at the Fermi level is 8.8 states/eV/f.u.

It has space group Pm-3m (No. 221), with a = 5.1324 Å, b = 5.1324 Å, c = 5.1324 Å, α = 90.00°, β = 90.00° and γ = 90.00°. The asymmetric unit holds K at (0.0000, 0.0000, 0.5000), Se at (0.5000, 0.5000, 0.5000) and O at (0.0000, 0.0000, 0.0000).


VASP calculation (meta-GGA SCAN) on a crystal of ZrTiMo2 relaxed with PBEsol.

The calculation puts the formation energy at 50 meV per atom. As for the spin magnetization: 0.00 μB per atom. The value obtained for the density of states at the Fermi level is 6.1 states/eV/f.u.

It has space group Fm-3m (No. 225), with a = 6.4215 Å, b = 6.4215 Å, c = 6.4215 Å, α = 90.00°, β = 90.00° and γ = 90.00°. The asymmetric unit holds Zr at (0.0000, 0.0000, 0.0000), Ti at (0.0000, 0.0000, 0.5000) and Mo at (0.2500, 0.2500, 0.2500).


VASP calculation (meta-GGA SCAN) on a crystal of GaAuCl2F relaxed with PBEsol.

As for the formation energy without anion corrections: -0.183 eV/atom. As for the spin magnetization: 0.00 μB per atom. The value obtained for the density of states at the Fermi level is 0.7 states/eV/f.u.

It has space group P4/mmm (No. 123), with a = 5.2668 Å, b = 5.2668 Å, c = 3.6601 Å, α = 90.00°, β = 90.00° and γ = 90.00°. The asymmetric unit holds Ga at (0.0000, 0.0000, 0.0000), Au at (0.5000, 0.5000, 0.0000), Cl at (0.0000, 0.5000, 0.5000) and F at (0.0000, 0.0000, 0.5000).


VASP calculation (meta-GGA SCAN) on a crystal of Ca5V3O13 relaxed with PBEsol.
The page goes on:
The IIDRN Annual Conference is committed to providing a safe, accessible, and equitable experience for all participants. Discrimination or harassment of any kind will not be tolerated. By attending this conference, participants agree to abide by the following code of conduct.
The following behaviors are examples of discrimination or harassment and will not be tolerated:
Visual conduct such as leering; making sexual or offensive gestures; displaying sexually explicit or suggestive images or objects; or displaying images or objects that show hostility towards, perpetuate negative stereotypes about, or could otherwise be offensive to groups of people, especially minoritized racial/ethnic groups, sexual or gender minorities, those living with disabilities, and other protected classes and minoritized groups
Verbal or written abuse or conduct such as the use of epithets/slurs; sending or making sexual or suggestive comments/messages, jokes, or invitations; sending or making comments/messages about another’s physical appearance; or sending or making otherwise derogatory, harassing, or threatening comments/messages, including those that show hostility towards, perpetuate negative stereotypes about, or could otherwise be offensive to groups of people, especially minoritized racial/ethnic groups, sexual or gender minorities, those living with disabilities, and other protected classes and minoritized groups
Physical abuse or conduct such as assault; impeding/blocking movement; or any unwanted or offensive physical contact of a threatening or sexual nature including touching another’s body or touching/display of one’s own body
Retaliation of any kind, including retaliation for negative responses to sexual advances or retaliation for reporting, or threatening to report, harassment
Sustained disruption of any portion of the event, such as, but not limited to, verbally or physically disrupting speakers or other attendees or damaging or taking property.
Other behavior that could reasonably impact the ability of other attendees to fully and freely participate in the event, regardless of whether the behavior occur during the event, at one of the event’s social functions or on the event premises, such as, but not limited to, intoxication, loud use of electronic devices, and shouting.
Any attendee who experiences or observes discrimination or harassment should report this behavior as soon as possible to a member of the IIDRN Annual Conference staff. Reports may be made in person to any conference staff member (wearing IIDRN conference T-shirts labeled STAFF), or by email to
Such reports will remain confidential and only be shared among the IIDRN Annual Conference organizers (including the Conference Planning Committee and IIDRN Executive Committee) who will determine appropriate actions. Conference organizers will discuss further with the reporting party if needed and meet to assess the allegations and collect additional evidence as appropriate (e.g., copies of any harassing messages). Conference organizers will take all reasonable actions to manage attendees who are determined to violate this code of conduct during conference events, up to and including removal from the conference, cancellation of any membership in the IIDRN organization, and denying access to future IIDRN events.
Attendees may also file a complaint of discrimination or harassment with the United States Department of Health and Human Services (HHS) Office for Civil Rights (OCR): Making a report to the IIDRN Annual Conference staff is not required in order to file a complaint with HHS OCR, nor does making a report to or seeking assistance from the IIDRN Annual Conference staff prohibit filing a complaint with HHS OCR. Attendees may also notify the National Institutes of Health (NIH) of any concerns related to discrimination or harassment at this conference online at or by phone at +1 (301) 480-6701.
If there is an immediate threat to your physical safety, or if you believe you have been the victim of a crime, contact local law enforcement by calling 911.
This code of conduct applies to all IIDRN Annual Conference events, including any preconference activities, all conference sessions, breaks, meals, and receptions. Any questions or concerns related to harassment or this code of conduct may be directed to IIDRN Annual Conference staff—either in person to any conference staff member or by email to—or to the HHS OCR (
Thank you in advance for creating a safe, accessible, and equitable environment to support the advancement of Indigenous dementia research worldwide.
C. Photo and audio/video recording policy:
Photographs and/or videos may be taken throughout the conference, both by IIDRN staff and by other conference attendees. Attendees and presenters may indicate their preferences for photography/videography in two ways:
1. If you prefer not to be photographed or recorded, you may place a “no photos” sticker on your conference badge. See the Check-In & Information Table (outside of the Kona Moku Ballroom) or a member of the conference staff for a sticker.
No photographs or videos of me
2. For presentations, presenters may indicate their preferences via verbal announcement or displaying the following symbols:
[Records of crystals, as found in the file]
┌──
# 1
SrGeF | PBE | optimized geometry

a b c (Å): 4.1250 4.0566 8.0560
angles (deg): 90.00 102.28 90.00
Closest atoms and distances in Å follow each position.
Atoms (fractional coordinates):
Ge1 0.8876 0.7500 0.4154  2 Ge 2.51
Ge2 0.1124 0.2500 0.5846  2 Ge 2.51
Sr1 0.6694 0.7500 0.8179  4 F 2.49-2.51
Sr2 0.3306 0.2500 0.1821  4 F 2.49-2.51
F1 0.2435 0.7500 0.9946  4 Sr 2.49-2.51
F2 0.7565 0.2500 0.0054  4 Sr 2.49-2.51

Calculated values
**Calculated volume**: 22.0 Å³/atom
**Raw formation energy**: -2.13 eV/atom
**Total moment**: 0.0 μB/cell
**Symmetry**: No. 11
**Offset from the most stable computed form**: 53 meV/atom

---

# 2
ScMnSe3 | PBE | optimized geometry

a b c (Å): 6.6096 6.6099 7.0859
angles (deg): 62.19 62.17 59.98
Closest atoms and distances in Å follow each position.
Atoms (fractional coordinates):
Se1 0.9379 0.2343 0.2595  2 Mn 2.56-2.61, 2 Sc 2.70-2.71
Se2 0.5684 0.9381 0.2594  2 Mn 2.56-2.61, 2 Sc 2.70-2.71
Se3 0.7659 0.4315 0.7406  2 Mn 2.56-2.61, 2 Sc 2.70-2.71
Se4 0.0621 0.7657 0.7405  2 Mn 2.56-2.61, 2 Sc 2.70-2.71
Se5 0.4316 0.0619 0.7406  2 Mn 2.56-2.61, 2 Sc 2.70-2.71
Se6 0.2341 0.5685 0.2594  2 Mn 2.56-2.61, 2 Sc 2.70-2.71
Sc1 0.3433 0.3434 0.9699  6 Se 2.70-2.71
Sc2 0.6567 0.6566 0.0301  6 Se 2.70-2.71
Mn1 0.1595 0.1593 0.5218  6 Se 2.56-2.61
Mn2 0.8405 0.8407 0.4782  6 Se 2.56-2.61

Calculated values
**Calculated volume**: 22.6 Å³/atom
**Raw formation energy**: -1.00 eV/atom
**Total moment**: 8.0 μB/cell
**Symmetry**: No. 148
**Offset from the most stable computed form**: 0 meV/atom

---

# 3
RbNa2HfTl | PBE | optimized geometry

a b c (Å): 5.8741 6.5304 5.8741
angles (deg): 90.00 90.00 90.00
Closest atoms and distances in Å follow each position.
Atoms (fractional coordinates):
Na1 0.0000 0.0000 0.5000  2 Tl 2.94
Na2 0.5000 0.0000 0.0000  2 Tl 2.94
Tl1 0.0000 0.0000 0.0000  4 Na 2.94, 2 Rb 3.27
Rb1 0.0000 0.5000 0.0000  2 Tl 3.27
Hf1 0.5000 0.5000 0.5000  4 Rb 4.15, 8 Na 4.39

Calculated values
**Calculated volume**: 45.1 Å³/atom
**Total moment**: 2.0 μB/cell
**Symmetry**: No. 123
**Formation energy**: 1.1201 eV per atom

---

# 4
Mg2ScHg | PBE | optimized geometry

a b c (Å): 9.8511 9.8511 9.8511
angles (deg): 19.60 19.60 19.60
Closest atoms and distances in Å follow each position.
Atoms (fractional coordinates):
Mg1 0.4946 0.4946 0.4946  3 Hg 2.97, 3 Sc 3.22
Mg2 0.0054 0.0054 0.0054  3 Hg 2.97, 3 Sc 3.22
Sc1 0.2500 0.2500 0.2500  6 Mg 3.22, 6 Sc 3.35
Hg1 0.7500 0.7500 0.7500  6 Mg 2.97

Calculated values
**Calculated volume**: 23.5 Å³/atom
**Total moment**: 0.0 μB/cell
**Symmetry**: No. 166
**Formation energy**: -0.0509 eV per atom

---

# 5
Zr2Pt | PBE | optimized geometry

a b c (Å): 13.6779 13.6779 13.6779
angles (deg): 167.32 167.32 17.97
Closest atoms and distances in Å follow each position.
Atoms (fractional coordinates):
Zr1 0.1771 0.6771 0.5000  4 Pt 2.91, 6 Zr 3.02-3.19
Zr2 0.4271 0.4271 0.0000  4 Pt 2.91, 6 Zr 3.02-3.19
Zr3 0.5729 0.5729 0.0000  4 Pt 2.91, 6 Zr 3.02-3.19
└──
No photographs or videos of my presentation/poster
Photographs or videos of my presentation/poster are okay for your own personal use
Photographs or videos of my presentation/poster and sharing are okay
If you indicate a preference for you and/or your presentation to not be photographed or recorded, IIDRN staff will not intentionally photograph or record you or your presentation. However, please note that we cannot guarantee the omission of your presence or your presentation from the background of all photographs or videos of the conference.
All conference attendees are asked to respect the wishes of their fellow attendees and presenters with regard to photography/videography. Because of the proprietary nature of data and the reporting of preliminary, unpublished research, any photography, filming, taping, recording or reproduction in any medium of any of the programs, talks or data/posters/slides presented at the IIDRN conference is prohibited unless the presenter clearly indicates their permission verbally or by displaying the appropriate symbol. If a presenter indicates that they are open to photography or recording, please use common courtesy and do not be disruptive or distracting, either to the presenter or fellow audience members. Similarly, the subsequent dissemination of any photograph, video, or other recording in any medium of any of the programs, talks, or data/posters/slides presented at the IIDRN conference is prohibited unless the presenter clearly indicates their permission verbally or by displaying the appropriate symbol.
Sharing your experience on social media is encouraged to add to the discussion and excitement of the IIDRN conference, as long as it complies with this and other conference policies. Sharing images on social media that contain discernable research data (i.e., image of a poster or slide) is prohibited unless the presenter clearly indicates their permission verbally or by displaying the appropriate symbol.
Violation of this policy may result in appropriate penalties, up to and including removal from the IIDRN conference and denial of entry to future IIDRN conferences and events. Please direct questions regarding this policy to
D. Conflict of interest disclosure:
Presenters are asked to clearly disclose any potential conflicts of interest (COIs) that could be reasonably perceived as related to the content of their presentation. The purpose of COI disclosure is to improve transparency and allow the audience to make their own assessments about whether certain factors or relationships may increase risk of bias in the work being presented. COI disclosures should name the conflicting organization and explain the nature of the potential conflict and its relevance to the presentation content. The format of the disclosure may vary depending on the type of presentation.
E. Accessibility best practices:
It is our policy to make arrangements and accommodations such that no person feels excluded due to disabilities, allergies, or personal preferences. We recognize that some disabilities are invisible and that not all disabilities require accommodation. We do not require attendees to disclose their needs, but you are free to contact conference staff to request individualized support: Tracy Kemp may be reached by email at, or you may seek out a member of conference staff in person at the conference. We encourage attendees to make these requests prior to the conference to ensure appropriate accommodations, but we will do our best to fulfill requests made on-site.
We encourage attendees and presenters to consider the needs of others when planning their presentations, communications, and interactions. We promote the use of inclusive language throughout the conference and sponsored events.
As a courtesy to those with sensitivities to chemicals and scents, we ask that attendees refrain from using perfume/cologne or other scented products.
We ask that all attendees respect smoke-free environments, respect accessibility-designated rows in presentation rooms, and use a microphone when speaking publicly.
F. Conference Guests and Childcare
To promote inclusivity for those attendees with caretaking responsibilities, we welcome children and adult dependents to attend conference sessions with registrants. Registrants may also bring other types of guests (including a spouse/partner, babysitter/caretaker, etc.) to conference sessions at no additional cost. Please note that, while dependents or guests are welcome at all conference sessions, conference meals will be provided to registrants only. Any dependents or guests must also be accompanied by a registrant who is wearing a conference badge at all times during conference sessions. For all conference attendees, we ask that you excuse yourself from any session if you or your dependent or guest needs space for activities that could be considered disruptive to presenters or other attendees.
The IIDRN Annual Conference does not directly provide childcare services. For registrants in need of childcare, several local options are available and able to come to the conference hotel, including those listed below. Please note that this list is provided as a courtesy only; this list is not comprehensive, nor is it an endorsement of any of the included childcare providers. Registrants must arrange and pay for childcare themselves.
Aloha Sitters
Phone: +1 (808) 861-7294
Island Kid Sitters
Phone: +1 (808) 354-0585
Hawaii [Poppins] Keiki Waikiki
Phone: +1 (808) 931-8086
Note: Located at the conference hotel, but is open to the public